## Activity
The reader should duplicate everything further below verbatim.
## Given
<<<
Here is one molecule with the formula C2H5NO2 from OMol25. Energies are from ωB97M-V/def2-TZVPD.

Positions of all 10 atoms, in Å:
H  0.7031  0.5734  -2.1521
C  0.9453  -0.1341  -0.3085
C  -0.3866  -0.1119  0.3606
H  1.0517  -1.1308  -0.7472
H  1.6968  -0.0299  0.4754
O  -1.1325  0.7872  0.5877
O  -0.7043  -1.3767  0.8127
H  -1.4606  -1.2090  1.3931
N  1.0751  0.9398  -1.2957
H  1.9813  1.3310  -1.3736

Cartesian forces (eV/Å) of the 6 atoms listed first:
H 0.3 0.4 -0.6
C 0.5 0.6 -0.8
C -0.7 -1.2 0.9
H 0.2 0.0 0.1
H 0.0 -0.1 0.0
O 0.0 0.8 -0.2

Its spin multiplicity is 1. Its energy above the lowest of the compared OMol25 structures with the same formula, charge and spin is 49.26 kJ/mol. The frontier orbital gap is 10.512 eV. Its SMILES is NCC(=O)O. The calculation puts the total energy at -7740.2408 eV. The value obtained for the HOMO energy is -9.73 eV.

These are the natural (NBO) partial charges, in e, on atoms 1 to 4: H 0.362; C -0.339; C 0.772; H 0.204

---

Here is C21H12N4O2RuS2 as an isolated structure from OMol25. Energies are from ωB97M-V/def2-TZVPD.

Positions of all 42 atoms, in Å:
C  1.4141  1.7081  0.7169
C  -2.5038  0.8404  0.5482
H  -1.1628  1.4944  2.0957
C  -3.6744  1.0848  -0.1535
C  -1.9697  -3.8852  -0.4628
H  2.9997  0.6778  3.6067
H  -5.9511  4.2055  0.0387
C  0.7232  -3.3971  -0.4230
H  -2.4548  3.5862  2.5303
C  2.5712  3.1254  4.5373
S  1.1244  1.2129  -0.9213
C  -2.0437  1.7338  1.5092
H  0.9956  -5.4674  -0.8768
N  -1.7375  -0.3462  0.3219
H  -5.2923  2.4167  -0.4546
C  -4.6331  4.4476  1.4367
O  -4.2110  5.1221  2.3266
N  -0.1201  -2.3938  -0.1794
C  -3.9377  3.1520  1.0668
C  -4.3859  2.2462  0.1122
N  2.8729  3.5248  5.5707
C  2.1019  0.8541  1.6452
C  2.4878  1.3294  2.9115
H  -3.3815  -1.5754  0.0913
H  0.5251  3.6789  0.4520
C  -2.7662  2.8810  1.7707
C  1.0608  3.0215  1.1242
C  0.2744  -4.6848  -0.6885
C  -1.0835  -4.9344  -0.7109
C  -2.2994  -1.4714  0.0798
C  -1.4579  -2.6348  -0.2075
H  -4.0163  0.4157  -0.9334
H  -3.0399  -4.0424  -0.4697
C  1.1237  4.8099  2.7508
O  -5.7227  4.8106  0.7522
Ru  0.3623  -0.4195  0.2316
H  1.7802  -3.1696  -0.4137
C  2.1843  2.6223  3.2538
H  -1.4592  -5.9275  -0.9180
N  0.8458  5.8747  3.0782
S  2.2850  -0.8044  1.2042
C  1.4544  3.4727  2.3530

Cartesian forces (eV/Å) of the 6 atoms listed first:
C 0.1 0.2 0.1
C 0.1 0.0 0.2
H 0.0 0.0 0.0
C 0.0 0.1 -0.1
C 0.0 0.0 0.0
H 0.0 0.0 0.0

Its spin multiplicity is 1. As for the total charge: +2. The frontier orbital gap (alpha / beta) is 5.702 / 5.665 eV. The calculation puts the total energy at -56262.1675 eV. The value obtained for the HOMO energy (alpha / beta) is -15.38 / -15.38 eV.

These are the natural (NBO) partial charges, in e, on atoms 1 to 4: C -0.292; C 0.165; H 0.214; C -0.229

---

Here is C38H60N4O2SSn as an isolated structure from OMol25. Energies are from ωB97M-V/def2-TZVPD.

Positions of all 106 atoms, in Å:
H  -0.9120  3.2754  -2.8783
H  -5.1076  -0.1918  -0.8127
H  -1.1524  -3.7923  3.0936
H  1.0404  -1.4310  -4.4707
C  6.6433  -0.5565  -2.6492
H  1.5170  0.7091  4.7408
H  6.8355  0.1914  -1.8711
H  4.7823  1.4159  -4.8092
N  -0.4038  -0.0068  -4.9903
H  0.1390  -0.5230  2.9213
H  2.7638  0.3116  -4.2630
H  -0.2230  2.4668  4.7588
C  2.8529  0.1152  -3.1996
C  -2.6622  -2.4425  2.2920
S  -0.4992  0.4739  -2.3164
H  -3.1779  -0.4841  6.4726
H  3.6708  -0.2496  5.8713
C  -1.5015  -3.4276  2.1209
H  6.5217  1.1511  -4.7146
C  1.3261  1.3409  3.8659
C  4.0821  -0.4122  -1.2193
H  2.0237  2.1847  3.9060
C  -1.7854  0.5924  5.2419
O  -1.9420  0.3219  -0.1521
C  -0.1216  1.8421  3.8599
C  5.3678  -0.2237  -3.4557
C  3.7645  -0.8882  1.8336
H  6.0466  -2.3264  2.8793
C  2.1462  -0.9437  3.5911
H  -0.3042  0.1306  -7.0707
C  -0.0084  -1.3967  -4.7806
C  -1.3771  -0.2602  2.9429
H  4.8151  0.6582  4.8761
C  -0.8507  0.8053  -3.9347
N  1.4490  -0.4506  1.3387
H  6.5718  -1.5391  -2.1683
H  -4.8372  1.8399  0.0339
C  4.2398  -2.7778  4.8968
H  -4.0079  -1.4279  -0.1721
H  -3.3155  2.6416  -0.4015
>>>
## Written answer
Here is one molecule with the formula C2H5NO2 from OMol25. Energies are from ωB97M-V/def2-TZVPD.

Positions of all 10 atoms, in Å:
H  0.7031  0.5734  -2.1521
C  0.9453  -0.1341  -0.3085
C  -0.3866  -0.1119  0.3606
H  1.0517  -1.1308  -0.7472
H  1.6968  -0.0299  0.4754
O  -1.1325  0.7872  0.5877
O  -0.7043  -1.3767  0.8127
H  -1.4606  -1.2090  1.3931
N  1.0751  0.9398  -1.2957
H  1.9813  1.3310  -1.3736

Cartesian forces (eV/Å) of the 6 atoms listed first:
H 0.3 0.4 -0.6
C 0.5 0.6 -0.8
C -0.7 -1.2 0.9
H 0.2 0.0 0.1
H 0.0 -0.1 0.0
O 0.0 0.8 -0.2

Its spin multiplicity is 1. Its energy above the lowest of the compared OMol25 structures with the same formula, charge and spin is 49.26 kJ/mol. The frontier orbital gap is 10.512 eV. Its SMILES is NCC(=O)O. The calculation puts the total energy at -7740.2408 eV. The value obtained for the HOMO energy is -9.73 eV.

These are the natural (NBO) partial charges, in e, on atoms 1 to 4: H 0.362; C -0.339; C 0.772; H 0.204

---

Here is C21H12N4O2RuS2 as an isolated structure from OMol25. Energies are from ωB97M-V/def2-TZVPD.

Positions of all 42 atoms, in Å:
C  1.4141  1.7081  0.7169
C  -2.5038  0.8404  0.5482
H  -1.1628  1.4944  2.0957
C  -3.6744  1.0848  -0.1535
C  -1.9697  -3.8852  -0.4628
H  2.9997  0.6778  3.6067
H  -5.9511  4.2055  0.0387
C  0.7232  -3.3971  -0.4230
H  -2.4548  3.5862  2.5303
C  2.5712  3.1254  4.5373
S  1.1244  1.2129  -0.9213
C  -2.0437  1.7338  1.5092
H  0.9956  -5.4674  -0.8768
N  -1.7375  -0.3462  0.3219
H  -5.2923  2.4167  -0.4546
C  -4.6331  4.4476  1.4367
O  -4.2110  5.1221  2.3266
N  -0.1201  -2.3938  -0.1794
C  -3.9377  3.1520  1.0668
C  -4.3859  2.2462  0.1122
N  2.8729  3.5248  5.5707
C  2.1019  0.8541  1.6452
C  2.4878  1.3294  2.9115
H  -3.3815  -1.5754  0.0913
H  0.5251  3.6789  0.4520
C  -2.7662  2.8810  1.7707
C  1.0608  3.0215  1.1242
C  0.2744  -4.6848  -0.6885
C  -1.0835  -4.9344  -0.7109
C  -2.2994  -1.4714  0.0798
C  -1.4579  -2.6348  -0.2075
H  -4.0163  0.4157  -0.9334
H  -3.0399  -4.0424  -0.4697
C  1.1237  4.8099  2.7508
O  -5.7227  4.8106  0.7522
Ru  0.3623  -0.4195  0.2316
H  1.7802  -3.1696  -0.4137
C  2.1843  2.6223  3.2538
H  -1.4592  -5.9275  -0.9180
N  0.8458  5.8747  3.0782
S  2.2850  -0.8044  1.2042
C  1.4544  3.4727  2.3530

Cartesian forces (eV/Å) of the 6 atoms listed first:
C 0.1 0.2 0.1
C 0.1 0.0 0.2
H 0.0 0.0 0.0
C 0.0 0.1 -0.1
C 0.0 0.0 0.0
H 0.0 0.0 0.0

Its spin multiplicity is 1. As for the total charge: +2. The frontier orbital gap (alpha / beta) is 5.702 / 5.665 eV. The calculation puts the total energy at -56262.1675 eV. The value obtained for the HOMO energy (alpha / beta) is -15.38 / -15.38 eV.

These are the natural (NBO) partial charges, in e, on atoms 1 to 4: C -0.292; C 0.165; H 0.214; C -0.229

---

Here is C38H60N4O2SSn as an isolated structure from OMol25. Energies are from ωB97M-V/def2-TZVPD.

Positions of all 106 atoms, in Å:
H  -0.9120  3.2754  -2.8783
H  -5.1076  -0.1918  -0.8127
H  -1.1524  -3.7923  3.0936
H  1.0404  -1.4310  -4.4707
C  6.6433  -0.5565  -2.6492
H  1.5170  0.7091  4.7408
H  6.8355  0.1914  -1.8711
H  4.7823  1.4159  -4.8092
N  -0.4038  -0.0068  -4.9903
H  0.1390  -0.5230  2.9213
H  2.7638  0.3116  -4.2630
H  -0.2230  2.4668  4.7588
C  2.8529  0.1152  -3.1996
C  -2.6622  -2.4425  2.2920
S  -0.4992  0.4739  -2.3164
H  -3.1779  -0.4841  6.4726
H  3.6708  -0.2496  5.8713
C  -1.5015  -3.4276  2.1209
H  6.5217  1.1511  -4.7146
C  1.3261  1.3409  3.8659
C  4.0821  -0.4122  -1.2193
H  2.0237  2.1847  3.9060
C  -1.7854  0.5924  5.2419
O  -1.9420  0.3219  -0.1521
C  -0.1216  1.8421  3.8599
C  5.3678  -0.2237  -3.4557
C  3.7645  -0.8882  1.8336
H  6.0466  -2.3264  2.8793
C  2.1462  -0.9437  3.5911
H  -0.3042  0.1306  -7.0707
C  -0.0084  -1.3967  -4.7806
C  -1.3771  -0.2602  2.9429
H  4.8151  0.6582  4.8761
C  -0.8507  0.8053  -3.9347
N  1.4490  -0.4506  1.3387
H  6.5718  -1.5391  -2.1683
H  -4.8372  1.8399  0.0339
C  4.2398  -2.7778  4.8968
H  -4.0079  -1.4279  -0.1721
H  -3.3155  2.6416  -0.4015